The Young and the Restless Spoilers: Michael Muhney Teases Fans With Y&R Adam Newman Return – True Hiring Status Revealed

The Young and the Restless Spoilers: Michael Muhney Teases Fans With Y&R Adam Newman Return - True Hiring Status Revealed

The Young and the Restless spoilers document all things Michael Muhney, as loyal readers know. He recently interacted with a fan who asked if he would be back on TV (not specifically Y&R) in 2017. Muhney responded by tweeting, “I hope it’s pretty likely.” Muhney interacted with another fan on June 27, tweeting, “There is no return to Y&R at this point. But who knows what the future holds,” followed by a heart emoji.

Muhney also advised that he would be taking his annual break from Twitter in July, due to the upcoming Tour de France. That additional information establishes a soap opera-like cliffhanger for all soap fans later this week, as June ends on a Friday according to the calendar.

The Young and the Restless Spoilers: Michael Muhney Teases Fans With Y&R Adam Newman Return - True Hiring Status Revealed

The ongoing on- and off-screen saga involving this actor has stretched for 42 months. Yes, it was in December 2013 that news broke of Muhney’s stunning removal from Y&R’s cast.

Pre-Hilary Hour (Mishael Morgan) internet gossips ran wild with that story. This was daytime’s version of Fake News, which translated to random individuals who had no real sources inventing information in order to gin up the masses.

All rational individuals also know the difference between stories about fictional soap opera characters, like a Y&R recap article, and those who made ‘stuff’ up about Muhney and countless other real life individuals. They did that to feel superior, to gain attention or both.

The Young and the Restless Spoilers: Michael Muhney Teases Fans With Y&R Adam Newman Return - True Hiring Status Revealed

********
Ir3PdS | the Alexandria database | PBE | relaxed; E above lowest polymorph = 0 meV/atom; magnetic moment = 0.002 μB/f.u.; calculated total energy = -6.346 eV per atom
1.0
-0.1972 -1.9156 3.9265
3.0259 -2.8950 -1.2604
3.1513 2.6599 1.4560
S Ir Pd
1 3 1
direct
0.0000 0.0000 0.0000
0.0000 0.5000 0.0000
0.0000 0.0000 0.5000
0.5000 0.0000 0.0000
0.5000 0.5000 0.5000

* * * * *

Be2CoP | SCAN | PBEsol geometry

Values from the calculation:
- V: 74 Å³ per cell
- Uncorrected energy: -9.130 eV/atom

Lattice parameters (Å, degrees): 7.741 2.520 3.833 90.00 97.58 90.00
Space group C2/m (No. 12)
Inequivalent atoms, fractional coordinates:
Be1 0.243 0.000 0.240 [4 per cell]
Co1 0.000 0.500 0.000 [2 per cell]
P1 0.000 0.000 0.500 [2 per cell]

BeCoP | SCAN | PBEsol geometry

Values from the calculation:
- V: 125 Å³ per cell
- Uncorrected energy: -10.748 eV/atom

Lattice parameters (Å, degrees): 4.995 4.995 4.995 90.00 90.00 90.00
Space group F-43m (No. 216)
Inequivalent atoms, fractional coordinates:
Be1 0.000 0.000 0.000 [4 per cell]
Co1 0.250 0.250 0.750 [4 per cell]
P1 0.250 0.250 0.250 [4 per cell]

BeCoP | SCAN | PBEsol geometry

Values from the calculation:
- V: 130 Å³ per cell
- Uncorrected energy: -11.001 eV/atom

Lattice parameters (Å, degrees): 5.071 5.071 5.071 90.00 90.00 90.00
Space group F-43m (No. 216)
Inequivalent atoms, fractional coordinates:
Be1 0.000 0.000 0.000 [4 per cell]
Co1 0.250 0.250 0.250 [4 per cell]
P1 0.000 0.000 0.500 [4 per cell]

BeCo2P | SCAN | PBEsol geometry

Values from the calculation:
- V: 37 Å³ per cell
- Uncorrected energy: -12.692 eV/atom

Lattice parameters (Å, degrees): 3.530 3.530 2.956 90.00 90.00 90.00
Space group P4/mmm (No. 123)
Inequivalent atoms, fractional coordinates:
Be1 0.000 0.000 0.000 [1 per cell]
Co1 0.000 0.500 0.500 [2 per cell]
P1 0.500 0.500 0.000 [1 per cell]

Be2CoP | SCAN | PBEsol geometry

Values from the calculation:
- V: 75 Å³ per cell
- Uncorrected energy: -9.166 eV/atom

Lattice parameters (Å, degrees): 4.384 6.531 2.618 90.00 90.00 90.00
Space group Cmmm (No. 65)
Inequivalent atoms, fractional coordinates:
Be1 0.250 0.250 0.000 [4 per cell]
Co1 0.000 0.000 0.500 [2 per cell]
P1 0.000 0.500 0.500 [2 per cell]

Be2Co2P | SCAN | PBEsol geometry

Values from the calculation:
- V: 100 Å³ per cell
- Uncorrected energy: -10.912 eV/atom

Lattice parameters (Å, degrees): 5.511 5.511 3.293 90.00 90.00 90.00
Space group P4/mbm (No. 127)
Inequivalent atoms, fractional coordinates:
Be1 0.143 0.357 0.000 [4 per cell]
Co1 0.156 0.656 0.500 [4 per cell]
P1 0.000 0.000 0.500 [2 per cell]

YBeCoP2 | SCAN | PBEsol geometry

Values from the calculation:
- V: 76 Å³ per cell
- Uncorrected energy: -14.330 eV/atom

Lattice parameters (Å, degrees): 4.413 4.413 3.924 90.00 90.00 90.00
Space group P4/mmm (No. 123)
Inequivalent atoms, fractional coordinates:
Y1 0.000 0.000 0.000 [1 per cell]
Be1 0.500 0.500 0.000 [1 per cell]
Co1 0.500 0.500 0.500 [1 per cell]
P1 0.000 0.500 0.500 [2 per cell]
********

Concocted stories were invented that attempted to force fans to choose sides. Pro-Muhney forces opted to aim their heat-seeking missals at then-executive producer Jill Farren Phelps and at any other known Y&R back office honcho. Later, this mob began verbally assaulting one of Muhney’s cast mates as well, claiming that a sexual harassment issue forced him off the show.

All of the above established an enduring rub for Y&R. Negative forces will surely swarm if, in fact Muhney is eventually rehired. TPTB must surely weigh any anticipated ratings boost, either temporary or sustained, against the incessant sniping that will come from anonymous sources who don’t wish Y&R, Muhney or honest fans of the genre well.

This scribe never decided who did what wrong, or if anyone did anything wrong at all regarding the referenced Muhney termination. The actor was being considered for rehire in the summer of 2014, which surely confirmed that nothing illegal had happened.

The Young and the Restless Spoilers: Michael Muhney Teases Fans With Y&R Adam Newman Return - True Hiring Status Revealed

Muhney is considered by many to be one of the great daytime actors of his era (2009-2014). His return as Adam Newman would be a major buzzworthy event that would encourage non-soap fans to tune in, therefore potentially expanding Y&R’s audience long-term. Here’s hoping it happens.

**These calculated crystals were left in the piece by mistake**
********
(1)
Computed, not measured: crystalline La5Te5N2 at its relaxed geometry at the GGA-PBE level of DFT.

Properties
Final energy = -6.220 eV/atom
Formation energy from raw total energies = -1470 meV/atom

abc: 4.2042 7.6659 11.3813
angles: 99.12 90.00 105.92
Fractional positions:
Te  0.3388  0.6776  0.9047
Te  0.5000  0.0000  0.5000
La  0.0923  0.1846  0.3320
Te  0.6612  0.3224  0.0953
Te  0.2364  0.4728  0.6147
La  0.3659  0.7318  0.2136
La  0.0000  0.0000  0.0000
N  0.9532  0.9063  0.1988
N  0.0468  0.0937  0.8012
Te  0.7636  0.5272  0.3853
La  0.6341  0.2682  0.7864
La  0.9077  0.8154  0.6680

(2)
Computed, not measured: crystalline La4TeN at its relaxed geometry at the GGA-PBE level of DFT.

Properties
Final energy = -6.099 eV/atom
Formation energy from raw total energies = -903 meV/atom

abc: 6.4634 7.7437 8.5929
angles: 110.41 104.71 105.72
Fractional positions:
N  0.1870  0.9370  0.8740
La  0.0370  0.8405  0.0959
La  0.7183  0.0888  0.4064
La  0.9630  0.1595  0.9041
La  0.2817  0.9112  0.5936
La  0.5590  0.2554  0.0959
La  0.1881  0.3176  0.4064
La  0.8119  0.6824  0.5936
N  0.8130  0.0630  0.1260
Te  0.3656  0.6156  0.2312
Te  0.6344  0.3844  0.7688
La  0.4410  0.7446  0.9041

(3)
Computed, not measured: crystalline LaTe3N at its relaxed geometry at the GGA-PBE level of DFT.

Properties
Energy relative to the lowest polymorph listed for this composition = 1.0514 eV/atom
Final energy = -3.703 eV/atom
Formation energy from raw total energies = 832 meV/atom

abc: 6.2062 6.2062 6.2062
angles: 90.00 90.00 90.00
Fractional positions:
La  0.0000  0.0000  0.0000
N  0.5000  0.5000  0.5000
Te  0.0000  0.0000  0.5000
Te  0.5000  0.0000  0.0000
Te  0.0000  0.5000  0.0000

no.,total magnetization (μB per atom)
1,0.00
2,0.00
3,0.94


(1)
Here is a relaxed structure of NaYPt3 from the Alexandria database. Energies are from GGA-PBEsol.

Values from the calculation:
The calculation puts the energy of formation at 0.477 eV/atom.

Geometry as CIF:
```
data_NaYPt3
_chemical_formula_sum 'Na1 Y1 Pt3'
_cell_length_a 4.581
_cell_length_b 4.581
_cell_length_c 4.581
_cell_angle_alpha 90.00
_cell_angle_beta 90.00
_cell_angle_gamma 90.00
_space_group_name_H-M_alt 'P m -3 m'
_space_group_IT_number 221
_space_group_name_Hall '-P 4 2 3'
loop_
_atom_site_label
_atom_site_fract_x
_atom_site_fract_y
_atom_site_fract_z
_atom_site_occupancy
Na1 0.000 0.000 0.000 1
Y1 0.500 0.500 0.500 1
Pt1 0.000 0.000 0.500 1
```


(2)
Here is a relaxed structure of CaTeAs2 from the Alexandria database. Energies are from GGA-PBEsol.

Values from the calculation:
For the uncorrected formation energy, the calculation gives -1.9 eV/f.u.

Geometry as CIF:
```
data_CaTeAs2
_chemical_formula_sum 'Ca1 Te1 As2'
_cell_length_a 4.153
_cell_length_b 4.153
_cell_length_c 5.988
_cell_angle_alpha 90.00
_cell_angle_beta 90.00
_cell_angle_gamma 90.00
_space_group_name_H-M_alt 'P 4 m m'
_space_group_IT_number 99
loop_
_space_group_symop_operation_xyz
'x,y,z'
'-y,x,z'
'-x,-y,z'
'y,-x,z'
'-x,y,z'
'y,x,z'
********
**Here the piece continues**

And, to invoke the spirit of a phrase that leads Eric Braeden’s recent biography, let all who oppose Muhney’s rehire be damned. CDL is a leading source for everything linked to The Young and the Restless. Check back regularly for Y&R spoilers and news!